[File]
********
No. 1
C31H58NO5 | wB97M-V/def2-TZVPD

Geometry as XYZ:
```
95
Properties=species:S:1:pos:R:3:forces:R:3:lowdin_charge:R:1
C 3.482 -0.742 1.300 -1.61 0.36 0.10 -0.083
C 2.095 -0.281 0.595 -2.30 0.32 -0.41 -0.200
C 1.991 0.274 -0.844 -3.20 -0.22 2.11 -0.005
C 0.599 0.728 -1.417 0.18 -1.26 3.09 -0.002
C -0.717 0.615 -0.562 3.56 -1.38 1.36 -0.157
C -2.139 1.111 -1.165 1.19 0.82 1.05 -0.105
C -3.258 0.975 -0.043 -0.98 -1.35 -0.17 -0.098
N -3.395 2.080 0.884 -2.53 -3.87 0.21 0.104
C -4.354 2.016 1.956 -0.81 -2.40 -0.48 0.006
C -5.250 0.783 2.178 2.39 0.12 -2.83 0.019
C -5.146 -0.421 1.180 2.72 3.32 -0.54 0.074
C -4.091 -0.331 0.015 -1.33 2.71 2.42 -0.074
C -3.930 -1.544 -1.017 1.01 0.23 0.19 -0.105
C -3.089 -2.698 -0.247 -0.34 0.28 1.07 -0.230
O -1.695 -2.718 -0.655 -1.07 -0.11 1.18 -0.097
C -0.571 0.011 0.880 2.94 0.17 -1.45 -0.047
C 0.816 -0.434 1.475 -0.78 1.72 -4.00 -0.026
H 4.391 -0.560 0.633 -1.35 -0.30 1.06 0.081
H 3.369 -1.842 1.627 0.41 1.66 -0.74 0.086
H 3.519 -0.142 2.287 0.32 -0.85 -1.66 0.091
H 2.942 0.349 -1.480 -1.72 -0.09 1.03 0.094
H 0.558 1.140 -2.489 0.03 -0.70 1.87 0.093
H -1.970 2.227 -1.426 -0.54 -1.68 0.44 0.125
H -2.383 0.593 -2.152 0.12 0.53 1.64 0.120
H -2.784 2.898 0.741 -0.50 -0.59 0.24 0.170
H -4.433 2.920 2.665 0.28 -1.62 -1.41 0.144
H -5.976 0.770 3.070 1.26 0.08 -1.65 0.114
H -5.781 -1.363 1.282 0.92 1.59 -0.05 0.126
H -3.305 -1.262 -1.949 -1.04 -0.27 1.67 0.121
H -4.936 -1.923 -1.418 1.38 0.68 0.98 0.131
H -3.099 -2.431 0.875 -0.24 -0.49 -1.57 0.118
H -3.609 -3.713 -0.342 0.87 1.31 -0.21 0.128
H -1.174 -2.791 0.184 -0.48 0.15 -1.27 0.096
H -1.466 -0.140 1.577 1.27 0.36 -1.26 0.082
H 0.860 -0.855 2.547 -0.01 0.77 -1.99 0.108
C 4.699 2.261 -4.570 0.01 -0.05 -0.11 -0.076
C 5.252 2.076 -3.167 0.07 -0.01 -0.19 -0.281
O 6.067 0.919 -3.025 -0.12 -0.16 0.21 -0.170
C 7.228 0.861 -3.844 0.08 0.07 -0.03 -0.278
C 8.195 2.008 -3.608 -0.04 0.13 0.08 -0.080
H 4.118 1.383 -4.870 0.01 0.13 0.06 0.083
H 4.054 3.141 -4.612 0.00 -0.11 0.00 0.074
H 5.493 2.393 -5.307 -0.01 0.09 0.04 0.068
H 4.415 1.955 -2.474 0.15 -0.14 0.06 0.098
H 5.798 2.966 -2.838 0.01 0.05 -0.06 0.107
H 6.943 0.796 -4.899 0.02 0.08 -0.01 0.106
H 7.731 -0.080 -3.604 -0.24 0.04 0.10 0.119
H 7.746 2.976 -3.840 0.05 -0.04 -0.09 0.065
H 9.083 1.891 -4.234 -0.06 -0.02 0.05 0.079
H 8.507 2.035 -2.560 0.00 -0.04 -0.09 0.082
C -10.666 -0.276 6.035 0.05 0.05 0.16 -0.076
C -9.684 -0.261 4.876 -0.17 -0.03 0.09 -0.281
O -8.382 0.184 5.239 0.26 0.18 -0.20 -0.181
C -7.706 -0.581 6.230 -0.04 -0.09 0.03 -0.281
C -7.488 -2.031 5.833 -0.09 -0.06 -0.07 -0.080
H -10.747 0.720 6.480 -0.02 -0.11 -0.10 0.086
H -11.655 -0.591 5.692 0.09 0.05 0.00 0.082
H -10.353 -0.961 6.825 -0.07 -0.06 -0.06 0.067
H -10.049 0.433 4.115 0.23 0.05 0.06 0.117
H -9.627 -1.243 4.395 -0.02 -0.06 0.06 0.104
H -8.234 -0.509 7.187 -0.02 -0.08 -0.02 0.109
H -6.732 -0.105 6.380 -0.16 0.13 -0.12 0.115
H -8.431 -2.558 5.677 0.05 -0.01 0.09 0.069
H -6.934 -2.558 6.613 -0.02 0.05 -0.06 0.081
H -6.921 -2.090 4.899 0.01 0.00 0.07 0.071
C -1.013 3.548 -4.857 -0.10 -0.13 -0.02 -0.081
C 0.320 4.113 -5.317 0.01 -0.06 -0.04 -0.275
O 1.233 3.122 -5.768 0.12 -0.02 0.21 -0.175
C 0.813 2.333 -6.875 -0.02 0.04 -0.13 -0.277
C 0.527 3.147 -8.125 -0.01 0.15 0.00 -0.077
H -0.863 2.817 -4.054 0.02 0.09 -0.04 0.056
H -1.660 4.348 -4.488 0.07 -0.04 -0.02 0.078
H -1.541 3.038 -5.665 -0.03 0.08 0.01 0.068
H 0.799 4.615 -4.472 0.15 -0.14 -0.11 0.119
H 0.179 4.876 -6.088 -0.11 -0.02 -0.02 0.109
H -0.051 1.721 -6.597 -0.07 0.03 -0.04 0.104
H 1.628 1.636 -7.087 0.02 0.15 0.22 0.119
H -0.287 3.859 -7.973 -0.04 -0.09 -0.05 0.066
H 0.246 2.489 -8.951 0.04 0.03 0.07 0.081
H 1.411 3.720 -8.418 -0.05 -0.09 0.02 0.085
C 5.815 -5.462 4.582 0.07 0.06 0.14 -0.079
C 5.024 -4.684 3.544 0.10 -0.07 0.07 -0.282
O 4.920 -3.295 3.832 -0.25 0.14 -0.02 -0.178
C 6.143 -2.574 3.919 0.08 -0.03 -0.06 -0.278
C 6.961 -2.611 2.640 -0.02 -0.09 -0.10 -0.076
H 5.367 -5.342 5.574 0.01 -0.05 -0.14 0.084
H 5.833 -6.525 4.330 -0.03 0.09 0.02 0.080
********

[Request]
It remains to start at the top of the listing earlier on and echo each line, ending with the one that has "-3.025 -0.12".

[Reply]
No. 1
C31H58NO5 | wB97M-V/def2-TZVPD

Geometry as XYZ:
```
95
Properties=species:S:1:pos:R:3:forces:R:3:lowdin_charge:R:1
C 3.482 -0.742 1.300 -1.61 0.36 0.10 -0.083
C 2.095 -0.281 0.595 -2.30 0.32 -0.41 -0.200
C 1.991 0.274 -0.844 -3.20 -0.22 2.11 -0.005
C 0.599 0.728 -1.417 0.18 -1.26 3.09 -0.002
C -0.717 0.615 -0.562 3.56 -1.38 1.36 -0.157
C -2.139 1.111 -1.165 1.19 0.82 1.05 -0.105
C -3.258 0.975 -0.043 -0.98 -1.35 -0.17 -0.098
N -3.395 2.080 0.884 -2.53 -3.87 0.21 0.104
C -4.354 2.016 1.956 -0.81 -2.40 -0.48 0.006
C -5.250 0.783 2.178 2.39 0.12 -2.83 0.019
C -5.146 -0.421 1.180 2.72 3.32 -0.54 0.074
C -4.091 -0.331 0.015 -1.33 2.71 2.42 -0.074
C -3.930 -1.544 -1.017 1.01 0.23 0.19 -0.105
C -3.089 -2.698 -0.247 -0.34 0.28 1.07 -0.230
O -1.695 -2.718 -0.655 -1.07 -0.11 1.18 -0.097
C -0.571 0.011 0.880 2.94 0.17 -1.45 -0.047
C 0.816 -0.434 1.475 -0.78 1.72 -4.00 -0.026
H 4.391 -0.560 0.633 -1.35 -0.30 1.06 0.081
H 3.369 -1.842 1.627 0.41 1.66 -0.74 0.086
H 3.519 -0.142 2.287 0.32 -0.85 -1.66 0.091
H 2.942 0.349 -1.480 -1.72 -0.09 1.03 0.094
H 0.558 1.140 -2.489 0.03 -0.70 1.87 0.093
H -1.970 2.227 -1.426 -0.54 -1.68 0.44 0.125
H -2.383 0.593 -2.152 0.12 0.53 1.64 0.120
H -2.784 2.898 0.741 -0.50 -0.59 0.24 0.170
H -4.433 2.920 2.665 0.28 -1.62 -1.41 0.144
H -5.976 0.770 3.070 1.26 0.08 -1.65 0.114
H -5.781 -1.363 1.282 0.92 1.59 -0.05 0.126
H -3.305 -1.262 -1.949 -1.04 -0.27 1.67 0.121
H -4.936 -1.923 -1.418 1.38 0.68 0.98 0.131
H -3.099 -2.431 0.875 -0.24 -0.49 -1.57 0.118
H -3.609 -3.713 -0.342 0.87 1.31 -0.21 0.128
H -1.174 -2.791 0.184 -0.48 0.15 -1.27 0.096
H -1.466 -0.140 1.577 1.27 0.36 -1.26 0.082
H 0.860 -0.855 2.547 -0.01 0.77 -1.99 0.108
C 4.699 2.261 -4.570 0.01 -0.05 -0.11 -0.076
C 5.252 2.076 -3.167 0.07 -0.01 -0.19 -0.281
O 6.067 0.919 -3.025 -0.12 -0.16 0.21 -0.170